Experience Of Leadership, Completing My Group Projects And My Individual Class Work

[Calculated crystals from another source follow]
~~~
No. 1
CeTcPH: relaxed, GGA-PBE.

```
8
Lattice="-3.0157 -2.0632 -1.8630 0.5820 -3.1564 2.5535 -4.8501 2.8784 4.6633" Properties=species:S:1:pos:R:3 pbc="T T T"
Tc 0.0000 0.0000 0.0000
Tc -1.2169 -2.6098 0.3453
Ce -1.3018 -0.6329 2.8082
Ce -4.7652 0.9015 2.2004
P -2.3204 -0.5494 -0.1503
P -3.7466 0.8180 5.1588
H -3.6419 -1.1706 2.6769
H -2.4251 1.4392 2.3317
```

Output
E_tot: -7.10 eV per atom
total magnetization: 1.4 Bohr magnetons per cell
symmetry: P4/nmm (129)


No. 2
CePa2H8: relaxed, GGA-PBE.

```
11
Lattice="3.3038 0.0000 -1.0055 -0.9082 5.2544 -2.9842 0.1205 0.0608 6.3265" Properties=species:S:1:pos:R:3 pbc="T T T"
H 1.0993 0.5191 3.6122
H -0.6575 3.8036 -2.1603
H 1.4167 4.7961 -1.2754
H 0.6591 3.0663 2.1655
H 0.4495 0.9166 1.4771
H 2.0665 4.3986 0.8597
H -0.2508 1.4508 -0.8240
H 1.8570 2.2489 0.1713
Pa 0.0051 3.5636 0.0169
Pa 2.5109 1.7516 2.3199
Ce 1.6519 0.0000 -0.5027
```

Output
E_tot: -5.06 eV per atom
total magnetization: 3.7 Bohr magnetons per cell
symmetry: Immm (71)


No. 3
Ce2PaH6: relaxed, GGA-PBE.

```
9
Lattice="3.6023 -0.0013 -1.1664 -0.7977 4.7347 -2.4691 0.1363 0.3720 6.5723" Properties=species:S:1:pos:R:3 pbc="T T T"
H 3.0462 0.6216 3.2654
H 0.3078 2.0313 0.9504
H 1.1903 3.6248 -2.4738
H 1.6142 1.1086 -1.1617
H -0.1054 4.4838 -0.3286
H 2.6330 3.0741 1.9864
Ce 1.0307 1.8346 3.1850
Ce 1.9102 3.2708 -0.2482
Pa 0.0000 0.0000 0.0000
```

Output
E_tot: -5.05 eV per atom
total magnetization: 2.1 Bohr magnetons per cell
symmetry: Immm (71)


No. 4
Ce2PaH: relaxed, GGA-PBE.

```
4
Lattice="3.1330 0.0000 0.0000 0.0000 3.1330 0.0000 0.0000 0.0000 7.9256" Properties=species:S:1:pos:R:3 pbc="T T T"
Ce 0.0000 0.0000 1.4507
Ce 0.0000 0.0000 6.4749
H 1.5665 1.5665 0.0000
Pa 1.5665 1.5665 3.9628
```

Output
energy above the most stable polymorph in this dataset: 0.07 eV per formula unit
total magnetization: 0.0 Bohr magnetons per cell
symmetry: P4/mmm (123)


No. 5
Ce2PaH: relaxed, GGA-PBE.

```
4
Lattice="3.1287 0.0000 0.0000 1.5643 2.7095 0.0000 1.5643 0.9032 9.2446" Properties=species:S:1:pos:R:3 pbc="T T T"
Ce 4.6930 2.7095 2.9938
Ce 1.5643 0.9032 6.2508
Pa 0.0000 0.0000 0.0000
H 3.1287 1.8063 4.6223
```

Output
energy above the most stable polymorph in this dataset: 0.00 eV per formula unit
total magnetization: 0.0 Bohr magnetons per cell
symmetry: R-3m (166)


No. 6
Ce3PaH: relaxed, GGA-PBE.

```
5
Lattice="4.7919 0.0000 0.0000 0.0000 4.7919 0.0000 0.0000 0.0000 4.7919" Properties=species:S:1:pos:R:3 pbc="T T T"
Ce 0.0000 0.0000 2.3959
Ce 0.0000 2.3959 0.0000
Ce 2.3959 0.0000 0.0000
H 0.0000 0.0000 0.0000
Pa 2.3959 2.3959 2.3959
```

Output
E_tot: -6.20 eV per atom
total magnetization: 0.0 Bohr magnetons per cell
symmetry: Pm-3m (221)


No. 7
CePaH2: relaxed, GGA-PBE.

```
4
Lattice="3.4602 0.0000 0.0000 1.7301 2.9966 0.0000 1.7301 0.9989 5.8326" Properties=species:S:1:pos:R:3 pbc="T T T"
H 1.7301 0.9989 1.5116
H 5.1903 2.9966 4.3210
Ce 0.0000 0.0000 0.0000
Pa 3.4602 1.9978 2.9163
```

Output
~~~

Table of Contents

Leadership styles and leadership styles

Relationships between Tasks

The group members are not included

Leader Weaknesses and Strengths

Personal Decision-Making and Group Climate

What I learned about team effectiveness

You can learn from my experiences in completing class assignments and group projects. This semester I worked with some wonderful people and it was an amazing experience. My teammates were the reason I was so successful this semester. Also, I learned a lot more about my own leadership style.

Leadership and Leadership stylesThe V Leader simulations helped me learn about many concepts I’d previously ignored in my interactions and conversations with team members. Nonverbal communication is an important part of communication, with up to 93% of it being nonverbal. Paying close attention to body language was how I first became aware of nonverbal expressions. Body language helped me understand how Oli and the others in theV Leader simulations felt. I could tell whether they were annoyed or frustrated by the messages I was delivering. I could then make adjustments to my delivery in order to achieve the desired result, which was in the V-Leader Simulations to complete the task.

I was able to better understand myself through the group project. In this course, all of my leadership traits have helped me to tackle the tasks that were put in front me and my team. I believe that this course is designed to make students use all of their leadership traits, including intelligence, confidence and charisma. The course design, from group presentations and group projects to individual exercises, achieves this. The course encourages you to discover your inner-leader. Throughout the course I used my intelligence, charisma, and sociability most. It was a team project that I believe influenced my decision to use these traits as my top leadership qualities. It was through the group projects that I developed my social abilities to help me complete the project.

I completed the Leadership Traits questionnaire and found that, in most categories, I received fours or fives, but had two threes. In the self-assured category, I scored a three. This is because sometimes I have doubts before I make a big decision and I seek reassurance. Sometimes I speak without giving the question serious consideration. In these two areas, I want to be a better leader.

There are three major categories for core leadership abilities: administrative skills, interpersonal skills, and conceptual skills. When I took the leadership skills test, I learned that I scored high or very high in each category. This was a pleasant surprise. The interpersonal category was my strongest. In this category, I received a score of 29, which is very high. Next, I scored 27 in the conceptual category. That was also a high score. My weakest area was the administrative category, for which I received a score of 24. I agree that my weakest skill in leadership would be administrative. I was able to receive feedback from my group project sessions that matched the way I had rated myself on the questionnaire. I’m going to improve my administration skills.

My leadership style is democratic. I try to be fair to everyone and let them do their jobs without me interfering. I preferred to let my subordinates do their work without me interfering. Because I enjoy being managed this way, I find it appealing. It also causes higher levels in group member commitment and cohesiveness. When I answered the leadership style questionnaire, I chose democratic as my first choice, followed by authoritarian, and laissez-faire. The scores I received were interesting. I scored 25 on the democratic questions and 22 on the authoritarian ones. This showed me that your leadership style might be a mixture, not just one. A good mix will help you in many situations.

Tasks and RelationshipsI have been thinking about how the position you hold within an organization can influence your leadership style. It’s hard to avoid being task-oriented if you are in manufacturing or logistical environments. This is why I feel that way. In my experience as a professional, I’m very focused on building relationships between teams. As a leader, this is a problem because I am in an environment that is very task-oriented. In the case of the group projects, my job was to ensure that everybody understood what they were supposed to do and by when. I felt that I and my group members developed a good relationship because we were all completing our tasks.

My group and I created a vision when we decided how to build our presentation. We worked together to create a plan, based on shared values. This would help us achieve our vision to get a high grade for the presentation. On the leadership questionnaire, I got a high score. It is something I am proud of. I am almost a natural at identifying areas of improvement for my company or group. I was able to use my V-Leader vision to help me focus on getting my points accepted by participants.

It is the leader’s job to create an environment that encourages constructive behavior. This was the best group project climate that I’ve ever experienced. This is because we all worked towards a common goal of getting a high grade in the course and developing as future leaders. I hope we achieved this. I also believe that my group was great at setting up structure and defining the norms. This helped us to become more cohesive. We were able to enjoy the project because we didn’t receive a single grade for the entire project. Instead, we received multiple grades at different points in the process. The project itself allowed us feel rewarded during the entire process. Instead of receiving one grade for the whole project, we had to submit multiple pieces at different times.

It was important to me to create a positive climate in V-Leader. You had to be able to tell when to click on a person or an idea to get the desired results. I learned this lesson slowly, which explains why I felt my simulation scores gradually improved. If I kept doing V-Leaders simulations, then I am sure I would get better over time at creating the climate necessary to reach my objectives.

I don’t think there was any disagreement among the group members. They were all working together towards the common goal. The team in V-Leader initially did not like some of my ideas, but with each simulation, they seemed to be more open-minded. We would listen to any member of my team who was not part of our group. It would have helped them feel we were interested in their ideas. The feeling of inclusion would have made them more motivated to act.

You cannot create obstacles as a leader. We faced some obstacles as a group in order to finish this project. I thought my group did a great job overcoming this obstacle. One example is that we didn’t get an equal number chapters covered, so I chose to take on an extra chapter. It was no problem. I didn’t want me to be the one who was always doing this. Everyone in our group did it at least once. Oli did this in V-Leader. He took on extra tasks because he thought it would benefit the company. Sometime, everyone in a company or group will have to step up and help out a bit more to complete the task. Clear goals and directions will motivate employees to go that extra mile.

In order to be successful, a company must know how its leaders handle conflict. We had minor disagreements in my group about how to approach a particular task or which point to emphasize, but they never affected the group negatively. The group was able to handle conflict collaboratively, and this is the reason conflict didn’t negatively impact it. This enabled us to discuss and decide on the best way forward. We always handled conflict professionally. My conflict-style questionnaire confirmed my beliefs about handling conflict. My style of conflict-mediation was excellent. V-Leader taught me many ways to deal with conflict in groups. The V-Leader simulators gave me some valuable experience.

I think I demonstrated ethical leadership throughout this project. All my decisions were made based upon good character and values. I am confident that my group members will all agree that I acted ethically. If a person is a good leader, I believe they will be successful. People will not follow someone who has bad ethics. To lead a group, you need to have a strong moral character. The questionnaire I filled out for the chapter of ethics revealed that my values were happiness and family. This is fine with me. My family’s comfort is my main motivation to succeed.

Leader WeaknessesLet’s first look at my weaknesses. I found that after completing the questionnaire on leadership strengths, I had rated myself lowly for the question regarding the ability to keep people together. There was no feedback on this issue, but I believe that at times I focus too much attention on my work and do not have the time to talk with group members. In both my academic and professional career, I plan to continue working on this. This is probably the case; my score in this category was moderate. I am slow to start, but I finish everything I begin.

My group got a pretty positive response during the leadership phase. The presentation and outline received high marks. This is an excellent reflection of my ability to lead. But I would still like to improve my communication skills in groups and be more organized. My group mates may need some help, but I might not have checked in for a few weeks to see if I was able to assist them. It could lead to a situation where you discover a problem too late. It was not the situation, but it might have been had I been in a group with fewer people. I am not very good at organizing things, and this is something that I’m working on to improve.

Inserted here: calculated crystals >
+++
(1)
Entry from Alexandria via LeMat-Bulk: an optimized crystal structure of SmPaAlO6 (GGA-PBE).

Geometry as CIF:
```
data_SmPaAlO6
_space_group_name_H-M_alt 'P 3 1 2'
_space_group_IT_number 149
_cell_length_a 5.4244
_cell_length_b 5.4244
_cell_length_c 4.7409
_cell_angle_alpha 90.00
_cell_angle_beta 90.00
_cell_angle_gamma 120.00
loop_
_space_group_symop_operation_xyz
'x,y,z'
'-y,x-y,z'
'-x+y,-x,z'
'-y,-x,-z'
'-x+y,y,-z'
'x,x-y,-z'
loop_
_atom_site_label
_atom_site_type_symbol
_atom_site_fract_x
_atom_site_fract_y
_atom_site_fract_z
Sm1 Sm 0.0000 0.0000 0.0000
Pa1 Pa 0.6667 0.3333 0.5000
Al1 Al 0.3333 0.6667 0.0000
O1 O 0.0221 0.3849 0.2335
```

- Raw formation energy: -26.7 eV/f.u.

***

(2)
Entry from Alexandria via LeMat-Bulk: an optimized crystal structure of CaSm2ScBi4 (GGA-PBE).

Geometry as CIF:
```
data_CaSm2ScBi4
_space_group_name_H-M_alt 'P 1 2/m 1'
_space_group_IT_number 10
_cell_length_a 7.7337
_cell_length_b 4.4803
_cell_length_c 7.8674
_cell_angle_alpha 90.00
_cell_angle_beta 109.23
_cell_angle_gamma 90.00
loop_
_space_group_symop_operation_xyz
'x,y,z'
'-x,-y,-z'
'-x,y,-z'
'x,-y,z'
loop_
_atom_site_label
_atom_site_type_symbol
_atom_site_fract_x
_atom_site_fract_y
_atom_site_fract_z
Ca1 Ca 0.0000 0.0000 0.0000
Sm1 Sm 0.5000 0.0000 0.5000
Sm2 Sm 0.5000 0.5000 0.0000
Sc1 Sc 0.0000 0.5000 0.5000
Bi1 Bi 0.2363 0.0000 0.7364
Bi2 Bi 0.2436 0.5000 0.2583
```

- E: -4.93 eV/atom

***

(3)
Entry from Alexandria via LeMat-Bulk: an optimized crystal structure of FeTeP2 (GGA-PBE).

Geometry as CIF:
```
data_FeTeP2
_space_group_name_H-M_alt 'P 1 m 1'
_space_group_IT_number 6
_cell_length_a 3.7600
_cell_length_b 3.7384
_cell_length_c 5.2985
_cell_angle_alpha 90.00
_cell_angle_beta 91.53
_cell_angle_gamma 90.00
loop_
_space_group_symop_operation_xyz
'x,y,z'
'x,-y,z'
loop_
_atom_site_label
_atom_site_type_symbol
_atom_site_fract_x
_atom_site_fract_y
_atom_site_fract_z
Fe1 Fe 0.0000 0.0000 0.0000
Te1 Te 0.8595 0.5000 0.3096
P1 P 0.1355 0.5000 0.7786
P2 P 0.5090 0.0000 0.7728
```

- Raw formation energy: 0.3 eV/f.u.

***

(4)
Entry from Alexandria via LeMat-Bulk: an optimized crystal structure of LaMn2Ru (GGA-PBE).

Geometry as CIF:
```
data_LaMn2Ru
_space_group_name_H-M_alt 'F -4 3 m'
_space_group_IT_number 216
_space_group_name_Hall 'F -4 2 3'
_cell_length_a 6.6259
_cell_length_b 6.6259
_cell_length_c 6.6259
_cell_angle_alpha 90.00
_cell_angle_beta 90.00
_cell_angle_gamma 90.00
loop_
_atom_site_label
_atom_site_type_symbol
_atom_site_fract_x
_atom_site_fract_y
_atom_site_fract_z
La1 La 0.0000 0.0000 0.0000
Mn1 Mn 0.0000 0.0000 0.5000
Mn2 Mn 0.2500 0.2500 0.2500
Ru1 Ru 0.2500 0.2500 0.7500
```

- E: -7.84 eV/atom

***

(5)
Entry from Alexandria via LeMat-Bulk: an optimized crystal structure of InMoPb2 (GGA-PBE).

Geometry as CIF:
```
data_InMoPb2
_space_group_name_H-M_alt 'I m m m'
_space_group_IT_number 71
_space_group_name_Hall '-I 2 2'
_cell_length_a 3.0845
_cell_length_b 4.8911
_cell_length_c 14.1934
_cell_angle_alpha 90.00
+++

In the leadership test, I received a high score in the areas of innovation and analytical thinking. I agree I’m a strategic thinker who can solve problems and make changes. My group kept telling me that I always found a way to accomplish tasks and was positive during our discussions. The group project that I worked on was a rewarding experience for me. I was able utilize my strengths and help my group earn a very good mark.

It is important that a leader has emotional intelligence. This helps them understand what someone else is feeling, and it allows them to motivate and guide them. My strength is my self-awareness. I am always assessing my own abilities and making adjustments to how I interact with others. Leaders that have good emotional awareness are good to be around because they adapt well to any situation. The team will then be able work at their best and enjoy the tasks they are doing.

It is important to know how to deal with conflict. In my role of group leader I had few conflicts, but at the start of the project one of my members had failed to finish any of his tasks. We then had the task of removing him from the team. The group manager of this project handled the matter very professionally. The expelled member was given several chances to finish their tasks, but made no effort. She was clear and direct in her communication, but she didn’t come across as rude or abrasive. Her conflict resolution methods impressed me and I learned from the situation.

I was able to lead the project with a diplomatic style because my group was self-motivated to finish their tasks. Our group had a member who used daily communication in order to get people to stay open to communication. Everyone was able to be involved with the project. The lesson I learned will help me in future group work. As a leader within my group, I was able to use my sociability in order to influence other members. This allowed me to have my ideas accepted by all. We were able to create trust by being politically aware.

Group Climate Our group climate was very positive. There wasn’t much tension among us, and the atmosphere was generally positive. In the group brainstorming phase, we noticed that everyone had already completed one chapter. I felt that as the discussion continued, no one was really interested in doing the chapter. I decided that as co-leader, I would take on the responsibility of the chapter. I relied on my intuition in observing everyone’s hesitance when it came to taking on this particular chapter. The meeting became very productive as a result.

This was our road to success. Our team’s culture was based on flexibility and cohesiveness, which helped us stay on the same wavelength and achieve our goals. We used meetings and feedback sessions in order to ensure all members were on the same track and followed the group process. When I was co-leader, I made sure that I scheduled meetings at times for everyone to be able to attend. I was proud to ensure that everyone could attend all major meetings during my leadership phase. I also used concepts, like the green-clicking people I learned during group brainstorming sessions.

I definitely need to work on developing my creativity. Sometimes I just follow instructions and check the boxes. This prevents me expressing my creative side and could reduce the quality my work. Leaders use creativity in order to challenge their own performance and that of the organization. In this area, I will try to improve.

Team Effectiveness – What I’ve LearntThis project helped me identify my strengths as well as weaknesses. I then put these on paper, in the form of a personal report. I will now work to improve my weaknesses, and strive to enhance my strengths. More communication would have helped me better handle the few problems I faced during my time as leader. My goal is to improve communication or consistency in communication. If I can improve my weaknesses and use what I’ve learned in this course, I believe I will be successful.


  • jaycunningham

    Jay Cunningham is a 36-year-old educational blogger and professor. He has written for various publications and online platforms, focusing on topics such as teaching and learning, assessment, and higher education. He has also served as an adjunct professor at several universities.